On My Mind 3.8.2022: We're Moving

Hi! A surprise Saturday post since I wasn’t in the headspace to write one of these on Monday, and spent the week working on old content (more on that below). It feels like 11° outside, but after today, should be in the 40s-60s for the next week. I’m so ready. The girls got new scooters a few days ago but it’s been too cold to take them outside. We have some big changes coming, but it’s all (mostly) good. We are getting so so close to being 100 days away from Margot’s port removal – it feels like a very significant milestone for us. But all that aside, the world has felt extra heavy this week. I’ll be sharing a few big updates in my newsletter in the coming weeks and some more original content there, so be sure to sign up


On My Mind, 3.8.2022: We’re Moving

Records of crystals from another source follow =
/*
This record from the Materials Project describes a relaxed Tc3Mo crystal. The functional is PBE.

Structure (POSCAR):
```
Tc3Mo
1.0
-2.080 -2.904 -1.600
3.315 -1.770 -1.096
0.089 -1.938 3.400
Mo Tc
1 3
Direct
0.000 0.000 0.000 Mo
0.500 0.000 0.500 Tc
0.000 0.500 0.500 Tc
0.500 0.500 0.000 Tc
```

Results
- energy above the lowest structure with this stoichiometry (eV/atom) = 0.013
- ΔH_f (0 K) (meV per atom) = 117

* * * * *

! MnTlO3 PBE with a Hubbard U relaxed; values from VASP
&SYSTEM
  ibrav = 0, nat = 10, ntyp = 3
/
ATOMIC_SPECIES
Mn 54.94 Mn.upf
O 16.00 O.upf
Tl 204.38 Tl.upf
CELL_PARAMETERS angstrom
-0.5121 2.6371 -5.8783
-1.6412 -2.4725 -5.7415
-5.0698 1.0165 -3.8776
ATOMIC_POSITIONS crystal
Mn 0.6647 0.6647 0.6647
Mn 0.3353 0.3353 0.3353
O 0.5494 0.9405 0.3224
O 0.6776 0.4506 0.0595
O 0.4506 0.0595 0.6776
O 0.3224 0.5494 0.9405
O 0.9405 0.3224 0.5494
O 0.0595 0.6776 0.4506
Tl 0.8748 0.8748 0.8748
Tl 0.1252 0.1252 0.1252
! Formation energy from the elements ... -1.437 eV/atom
! Symmetry ... R-3, No. 148
! Theoretical density ... 7.528 g/cm³



! MnTlO3 PBE with a Hubbard U relaxed; values from VASP
&SYSTEM
  ibrav = 0, nat = 30, ntyp = 3
/
ATOMIC_SPECIES
O 16.00 O.upf
Tl 204.38 Tl.upf
Mn 54.94 Mn.upf
CELL_PARAMETERS angstrom
3.0659 -5.3103 0.0000
3.0659 5.3103 0.0000
0.0000 0.0000 12.0134
ATOMIC_POSITIONS crystal
O 0.0000 0.3507 0.8321
O 0.6493 0.0000 0.3321
O 0.0000 0.0000 0.9776
O 0.6831 0.0000 0.6552
O 0.6667 0.3333 0.5023
O 0.0000 0.3169 0.1552
O 0.3333 0.6667 0.5023
O 0.0000 0.6493 0.3321
O 0.6493 0.6493 0.8321
O 0.3333 0.6667 0.0023
O 0.0000 0.6831 0.6552
O 0.3507 0.3507 0.3321
O 0.3507 0.0000 0.8321
O 0.3169 0.0000 0.1552
O 0.6667 0.3333 0.0023
O 0.3169 0.3169 0.6552
O 0.6831 0.6831 0.1552
O 0.0000 0.0000 0.4776
Tl 0.6667 0.3333 0.2332
Tl 0.0000 0.0000 0.7639
Tl 0.0000 0.0000 0.2639
Tl 0.3333 0.6667 0.7332
Tl 0.6667 0.3333 0.7332
Tl 0.3333 0.6667 0.2332
Mn 0.6651 0.0000 0.4936
Mn 0.0000 0.3349 0.9936
Mn 0.3349 0.3349 0.4936
Mn 0.0000 0.6651 0.4936
Mn 0.3349 0.0000 0.9936
Mn 0.6651 0.6651 0.9936
! Formation energy from the elements ... -1.528 eV/atom
! Symmetry ... P6_3cm, No. 185
! Theoretical density ... 7.827 g/cm³



! MnTlO3 PBE with a Hubbard U relaxed; values from VASP
&SYSTEM
  ibrav = 0, nat = 20, ntyp = 3
/
ATOMIC_SPECIES
O 16.00 O.upf
Mn 54.94 Mn.upf
Tl 204.38 Tl.upf
CELL_PARAMETERS angstrom
0.0692 0.0716 5.6400
5.5503 0.0983 0.0689
0.1347 7.8343 0.1045
ATOMIC_POSITIONS crystal
O 0.3128 0.3020 0.9589
O 0.1745 0.7888 0.9565
O 0.1791 0.1989 0.5610
O 0.8209 0.8009 0.4390
O 0.6872 0.6979 0.0410
O 0.3271 0.7072 0.5572
O 0.6019 0.0316 0.7533
O 0.8905 0.5354 0.7347
O 0.1094 0.4645 0.2652
O 0.6729 0.2931 0.4429
O 0.3981 0.9686 0.2470
O 0.8256 0.2110 0.0433
Mn 0.5002 0.0002 0.0002
Mn 0.5001 0.0001 0.5002
Mn 0.9998 0.4998 0.4999
Mn 0.0002 0.4998 0.9997
Tl 0.0083 0.0297 0.2524
Tl 0.9917 0.9700 0.7475
Tl 0.5061 0.4744 0.7471
Tl 0.4937 0.5259 0.2529
! Formation energy from the elements ... -1.495 eV/atom
! Symmetry ... P-1, No. 2
*/
The page goes on =


We’re Moving! 

== What comes next are data records, not part of the entry ==
[1]
Here is an optimized crystal structure of Li6V3P8O29 from the Materials Project database. Energies are from PBE+U.

```
data_Li6V3P8O29
_symmetry_space_group_name_H-M 'P 1'
_symmetry_Int_Tables_number 1
_cell_length_a 9.812
_cell_length_b 9.814
_cell_length_c 13.902
_cell_angle_alpha 89.83
_cell_angle_beta 89.73
_cell_angle_gamma 60.17
loop_
_symmetry_equiv_pos_as_xyz
'x,y,z'
loop_
_atom_site_label
_atom_site_type_symbol
_atom_site_fract_x
_atom_site_fract_y
_atom_site_fract_z
Li1 Li 0.000 0.000 0.000
Li2 Li 0.002 0.430 0.448
Li3 Li 0.096 0.670 0.327
Li4 Li 0.104 0.251 0.824
Li5 Li 0.238 0.654 0.823
Li6 Li 0.330 0.336 0.390
Li7 Li 0.420 0.018 0.945
Li8 Li 0.554 0.430 0.942
Li9 Li 0.562 0.005 0.449
Li10 Li 0.648 0.109 0.822
Li11 Li 0.658 0.671 0.271
Li12 Li 0.661 0.242 0.328
V1 V 0.326 0.904 0.141
V2 V 0.333 0.767 0.630
V3 V 0.764 0.900 0.637
V4 V 0.767 0.336 0.136
V5 V 0.897 0.767 0.130
V6 V 0.898 0.336 0.636
P1 P 0.015 0.566 0.728
P2 P 0.016 0.426 0.229
P3 P 0.101 0.653 0.543
P4 P 0.102 0.247 0.042
P5 P 0.242 0.656 0.041
P6 P 0.245 0.111 0.543
P7 P 0.415 0.016 0.728
P8 P 0.417 0.559 0.228
P9 P 0.559 0.019 0.228
P10 P 0.561 0.424 0.725
P11 P 0.647 0.246 0.542
P12 P 0.651 0.106 0.042
P13 P 0.660 0.671 0.013
P14 P 0.665 0.669 0.512
P15 P 0.994 0.002 0.258
P16 P 0.998 0.002 0.758
O1 O 0.003 0.152 0.720
O2 O 0.075 0.256 0.546
O3 O 0.078 0.674 0.044
O4 O 0.087 0.333 0.951
O5 O 0.097 0.345 0.320
O6 O 0.097 0.578 0.813
O7 O 0.107 0.564 0.452
O8 O 0.118 0.336 0.136
O9 O 0.119 0.540 0.632
O10 O 0.143 0.999 0.213
O11 O 0.144 0.851 0.720
O12 O 0.222 0.822 0.057
O13 O 0.240 0.959 0.554
O14 O 0.244 0.677 0.550
O15 O 0.251 0.082 0.045
O16 O 0.320 0.557 0.311
O17 O 0.324 0.132 0.641
O18 O 0.328 0.091 0.820
O19 O 0.334 0.581 0.951
O20 O 0.335 0.126 0.460
O21 O 0.339 0.545 0.130
O22 O 0.415 0.588 0.726
O23 O 0.416 0.996 0.226
O24 O 0.424 0.858 0.708
O25 O 0.434 0.708 0.219
O26 O 0.510 0.816 0.058
O27 O 0.524 0.660 0.555
O28 O 0.537 0.336 0.635
O29 O 0.544 0.124 0.135
O30 O 0.559 0.320 0.451
O31 O 0.562 0.107 0.317
O32 O 0.575 0.088 0.953
O33 O 0.577 0.333 0.816
O34 O 0.581 0.998 0.728
O35 O 0.585 0.415 0.229
O36 O 0.656 0.671 0.907
O37 O 0.656 0.824 0.550
O38 O 0.663 0.257 0.040
O39 O 0.667 0.517 0.056
O40 O 0.667 0.673 0.403
O41 O 0.669 0.077 0.550
O42 O 0.709 0.857 0.217
O43 O 0.712 0.433 0.706
O44 O 0.803 0.242 0.557
O45 O 0.804 0.676 0.059
O46 O 0.818 0.964 0.058
O47 O 0.821 0.523 0.548
O48 O 0.842 0.010 0.721
O49 O 0.845 0.154 0.216
O50 O 0.850 0.443 0.216
O51 O 0.854 0.717 0.709
O52 O 0.949 0.808 0.556
O53 O 0.957 0.223 0.060
O54 O 0.990 0.003 0.365
O55 O 0.993 0.421 0.727
O56 O 0.994 0.853 0.216
O57 O 0.995 0.004 0.867
O58 O 0.996 0.592 0.225
```


[2]
Here is an optimized crystal structure of Li3Mn2O5 from the Materials Project database. Energies are from PBE+U.

```
data_Li3Mn2O5
_symmetry_space_group_name_H-M 'P -1'
_symmetry_Int_Tables_number 2
_cell_length_a 2.966
_cell_length_b 5.091
_cell_length_c 12.171
_cell_angle_alpha 96.09

I shared this in my newsletter weeks ago, but we’re getting ready to list our house this spring! It’s a great house (we’ve been here almost 4 years) and leaving feels a little bittersweet. This is the place we brought our girls home to, and we’ve really made it our own. New floors in a few rooms, new baths, a pantry, the yard, laundry room, lighting, etc. After all we’ve been through, and with end of treatment coming up, it’s time for a change. We are not leaving IL, but the last few months, have talked about both the city and suburbs. 

What I’ve been working on

The last few weeks, I’ve been optimizing old content for SEO (search engine optimization). I’ve mentioned this before, but I hired Influencer SEO to help optimize my site (which makes it easier for people to find content organically). They also pin all my content to Pinterest and even make custom Pinterest graphics. So worth the investment. I spent hours and hours adding headings, reworking content and updating old links. I updated and consolidated old home tours and deleted content that’s not serving anyone, too. It’s felt really good to do a little site cleanup. So between that and focusing on wellness content, that’s kept me busy. 

A new business? 

Blogging has been great, and it’s going so much better than I ever could have imagined. But – I’m not sure how long I want to do this and have been thinking about the future. What’s next? I’m not sure, but I do have an idea that I am very excited about. I’ve spoken to a few friends I trust. Some have experience doing something similar, and the feedback has been better than expected. The concept makes so much sense and I really want to make it happen, but how? I know it’s annoying that I’m sharing this with zero details, but I hope I’ll make someone else who feels lost less alone. It’s ok to feel stuck and to have no idea what you’re doing. Sometimes, it takes time to learn, talk to people who might be able to help, think, and process a concept before moving forward. 


Fundraising for new treatment options for childhood cancer has never felt more important. We raised $200,000 for Alex’s Lemonade Stand and $100,000 for Lurie Children’s oncology department, to assist families in treatment, and to fund research. I remember when I hoped to raise $10,000, then $50,000 and then, $100,000. Too many children are diagnosed each day, and I can’t make sense of it. If you follow me on instagram, you can imagine that our entire family is heartbroken. This has only fueled my need to fight even more. I’m not sure how I’ll ever make this happen, but I never thought we’d be here, so here’s my big, lofty goal. I want to raise 1 million dollars for childhood cancer by the time Margot is 10. 

Life, Lately

Less than one month left with our nanny 💔

She gave me the ok to share what’s going on. So, she’s actually pregnant (so happy for her!) and being a nanny post-baby doesn’t really make sense for her family. I fully understand and respect her decision, but man, we’re going to miss her. We knew this was coming but also planned on listing our house and it’s hard to hire a nanny when you don’t know where you’ll be living. I also want to take a little time off to just be with the girls, but we definitely need some help, so this should be interesting. 

Family life

The girls are doing very well. Margot’s labs were great and we don’t need a chemo increase, so that’s huge. Last Thursday, we had one of our best clinic visits. Margot did amazingly well, we got some good news, and our oncologist gave us the ok to live a little more, so I’m feeling good about that. I took the girls to the zoo last weekend, and took Margot to the nature museum after clinic. We were even able to spend some time with the girls’ cousin last week.

Kate is talking and counting and as of this week, asks for snuggles and hugs. 😭 This age was one of my favorites with Margot, and it just gets better from here. I’m really looking forward to this summer. We’re trying to figure out next steps for childcare, because I want more time with the girls but also do have to work. So much feels up in the air, but I’m confident I can still get some work done during Kate’s nap and after bedtime. We’ve barely seen friends the last two years – it’s time to have some fun.